September 18, 2016
September 15, 2016
2016學年度歡喜開學 開學歡喜
和大家分享一句證嚴法師的靜思語: “勇於承擔才有改變的機會”。感恩大家每個星期六來承擔與付出,讓我們的學校越變越好。
No. 1
ORCA calculation (ωB97M-V with the def2-TZVPD basis set) on 5 unconnected molecules or ions with the total composition C51H61BF32NO11.

Geometry as ORCA input:
```
! RIJCOSX wB97M-V def2-TZVPD def2/J DEFGRID3
* xyz 1 1
C 4.11 -6.23 0.55
C 3.38 -6.38 -0.67
C 2.00 -5.58 -0.75
C 0.99 -5.85 -1.98
O 0.51 -7.19 -2.23
C -0.10 -4.70 -1.60
C -1.00 -4.32 -2.86
C -0.33 -3.73 -4.17
C -0.85 -4.59 -5.46
O 1.10 -3.61 -4.22
C 1.56 -2.71 -5.25
C 1.84 -1.22 -4.75
C 0.77 -0.18 -4.38
C 1.09 1.28 -3.95
C 2.56 1.75 -3.88
C 3.68 0.70 -4.22
C 3.34 -0.76 -4.66
B -1.21 -5.58 -0.73
O -2.66 -5.41 -0.91
O -0.85 -6.53 0.30
C 0.60 -3.53 -0.69
C 0.35 -2.04 -1.23
C -1.16 -1.50 -1.11
C -1.27 0.00 -0.47
C -2.27 0.86 -1.41
O -1.93 1.83 -2.11
O -3.65 0.45 -1.46
C 0.16 -3.46 0.88
C 0.89 -2.33 1.75
C -0.13 -1.30 2.47
C -1.44 -1.76 3.19
C -2.40 -0.80 3.92
C -2.06 0.71 3.95
C -0.80 1.25 3.25
C 0.14 0.25 2.53
N 2.04 -4.06 -0.69
C 3.08 -3.33 -1.49
C 3.85 -2.19 -0.62
C 4.92 -1.54 -1.68
O 4.66 -2.75 0.45
H 3.55 -5.75 1.45
H 5.18 -6.56 0.70
H 3.84 -7.01 -1.49
H 1.59 -5.80 0.31
H 1.69 -5.68 -2.87
H 1.32 -7.73 -2.40
H -1.50 -5.31 -3.19
H -1.90 -3.64 -2.61
H -0.77 -2.67 -4.34
H -0.08 -5.42 -5.69
H -1.90 -5.00 -5.32
H -0.85 -3.85 -6.34
H 0.90 -2.64 -6.17
H 2.57 -3.12 -5.62
H -0.33 -0.51 -4.46
H 0.22 1.97 -3.72
H 2.79 2.84 -3.59
H 4.77 1.02 -4.16
H 4.18 -1.50 -4.94
H -2.92 -4.65 -0.33
H -1.08 -6.05 1.15
H 0.64 -1.97 -2.35
H 1.02 -1.24 -0.74
H -1.55 -1.37 -2.20
H -1.90 -2.20 -0.61
H -1.74 0.00 0.56
H -0.26 0.54 -0.51
H -3.71 -0.50 -1.74
H 0.35 -4.46 1.43
H -0.97 -3.27 1.01
H 1.42 -2.85 2.64
H 1.71 -1.75 1.22
H -1.71 -2.88 3.23
H -3.33 -1.16 4.47
H -2.74 1.44 4.50
H -0.51 2.35 3.22
H 1.11 0.59 2.00
H 2.45 -3.96 0.27
H 3.93 -4.01 -1.87
H 2.70 -2.78 -2.41
H 3.18 -1.32 -0.32
H 4.91 -2.08 -2.68
H 5.97 -1.53 -1.21
H 4.64 -0.43 -1.83
H 4.69 -2.04 1.14
C 2.67 7.43 -4.98
C 2.83 6.10 -4.20
C 1.61 5.66 -3.39
F 1.28 6.54 -2.43
F 1.88 4.49 -2.75
F 3.94 6.17 -3.43
F 3.08 5.13 -5.13
O 3.21 8.61 -4.37
C 2.40 9.29 -3.44
C 2.99 9.28 -2.02
F 3.19 8.03 -1.57
F 2.15 9.89 -1.15
F 1.14 8.79 -3.49
F 2.31 10.56 -3.88
H 3.27 7.31 -5.89
H 1.65 7.58 -5.34
H 0.75 5.49 -4.03
H 3.95 9.80 -2.00
C -6.70 4.43 -1.97
C -6.09 5.82 -2.27
C -6.31 6.36 -3.69
F -5.77 5.57 -4.64
F -5.72 7.58 -3.83
F -4.77 5.80 -1.96
F -6.67 6.70 -1.40
O -5.82 3.30 -2.06
C -5.63 2.73 -3.33
C -4.18 2.85 -3.82
F -3.78 4.14 -3.89
F -4.05 2.33 -5.08
F -6.53 3.24 -4.20
F -5.95 1.42 -3.20
H -6.99 4.46 -0.92
H -7.64 4.27 -2.51
H -7.38 6.48 -3.90
H -3.50 2.32 -3.16
C 0.83 -6.97 6.07
C 1.33 -6.27 4.78
C 2.80 -5.85 4.77
F 3.09 -4.96 5.73
F 3.10 -5.25 3.59
F 0.51 -5.22 4.51
F 1.14 -7.16 3.75
O 0.14 -6.15 7.02
C 0.93 -5.42 7.94
C 0.79 -3.91 7.78
F 1.14 -3.51 6.53
F 1.60 -3.25 8.64
F 2.21 -5.85 7.88
F 0.49 -5.78 9.17
H 0.07 -7.69 5.74
H 1.61 -7.57 6.54
H 3.46 -6.72 4.88
H -0.24 -3.59 7.96
C -0.60 6.23 5.86
C -1.07 6.11 7.32
C -1.03 4.71 7.93
F -1.81 3.83 7.27
F -1.48 4.73 9.21
F -2.31 6.64 7.43
F -0.26 6.91 8.08
O -1.61 6.24 4.84
C -2.08 4.99 4.38
Here the page continues:
September 4, 2016
First Day of School Notice
2016-2017 開學通知
Welcome Letter (English version follows)
Welcome Letter (English version follows)
大家好!新的學年又要開始了,西雅圖慈濟人文學校定於九月十日開學,請於當日至Ringdall Jr. High (11650 SE 60th ST., Bellevue, WA 98006) 上課,上課時間是 9:00AM-12:00PM。基於維護學生安全為由,請每位學生務必穿著制服上衣,藍色長褲,並攜帶本通知書,女生請梳整頭髮別上有校徽的藍色髮飾,志工將憑通知書或制服辨識後,方可讓你進入教室區上課。 鑒於學生安全與教室秩序的因素,本校不開放旁聽或試聽,如有見到不能辨識為本校學生或成人在校園走動時,請大家能協助引導到餐廳,由行政志工負責接待。
大家好!新的學年又要開始了,西雅圖慈濟人文學校定於九月十日開學,請於當日至Ringdall Jr. High (11650 SE 60th ST., Bellevue, WA 98006) 上課,上課時間是 9:00AM-12:00PM。基於維護學生安全為由,請每位學生務必穿著制服上衣,藍色長褲,並攜帶本通知書,女生請梳整頭髮別上有校徽的藍色髮飾,志工將憑通知書或制服辨識後,方可讓你進入教室區上課。 鑒於學生安全與教室秩序的因素,本校不開放旁聽或試聽,如有見到不能辨識為本校學生或成人在校園走動時,請大家能協助引導到餐廳,由行政志工負責接待。
因為今年是新的校區,所以今年的開學日將舉行開學典禮及行政與全校家長座談會。請您和貴子弟於九點直接到體育場集合,舉行開學典禮。開學典禮結束後,學生及老師將會進教室。學校行政人員將於10:15 ~ 11:00在餐廳恭候家長,舉行行政與全校家長座談,除介紹各組行政志工外,並宣布一學年的重要活動,同時也希望和家長雙向溝通。敬邀所有家長務必參加,以了解學校未來一年的運作重點及所需家長支援與配合的內容,共同為我們的學生打造快樂學習的經驗。
班級親師座談依往例在開學的第二週 9月17日舉行,請來認識您孩子的老師,了解老師的教學理念及需要家長配合協助的事項。
第二節 09:40-10:20 五、六、七、八、九、十年級
第三節 10:30 -11:10 二、三、四年級
第四節 11:20-12:00 幼幼班、注音班、一年級
給孩子們一個溫馨活潑又安全的學習環境,一直都是本校行政志工努力的目標之一,感恩家長們在這些年來的護持, 讓我們繼續共同為這個目標努力,在孩子們成長的學習旅程上留下美麗的記憶。
English Version
華盛頓州西雅圖 慈濟人文學校
Tzu Chi Foundation, U.S.A. Tzu Chi Academy, Seattle WA
http://tzuchiacademyseattle.blogspot.com/ or https://tzuchiacademyseattle.org/
Aug 28, 2016
Dear parents and students,
Greetings! Summer goes by so quickly. Hope you had a wonderful summer. This notice is to confirm you that our school will start at 9:00 AM on September 10 at Ringdall Jr. High (11650 SE 60th ST., Bellevue, WA 98006). For security reason, please dress in uniform and bring this notice with you to school. This notice will help our volunteers to guide you to your classroom. All girls are advised to have hair braided or tied up neatly with Tzu Chi blue hair pins or hair tie. If you are a new student, please dress in white top and long blue pants to school.
華盛頓州西雅圖 慈濟人文學校
Tzu Chi Foundation, U.S.A. Tzu Chi Academy, Seattle WA
http://tzuchiacademyseattle.blogspot.com/ or https://tzuchiacademyseattle.org/
Aug 28, 2016
Dear parents and students,
Greetings! Summer goes by so quickly. Hope you had a wonderful summer. This notice is to confirm you that our school will start at 9:00 AM on September 10 at Ringdall Jr. High (11650 SE 60th ST., Bellevue, WA 98006). For security reason, please dress in uniform and bring this notice with you to school. This notice will help our volunteers to guide you to your classroom. All girls are advised to have hair braided or tied up neatly with Tzu Chi blue hair pins or hair tie. If you are a new student, please dress in white top and long blue pants to school.
On September 10th, we will hold the School Open Ceremony and School Staff & Parents Meeting at the first day of school. Please come to school Gym at nine o’clock for the Open Ceremony. Students will follow teachers go back to classroom afterwards. School Staff & Parents Meeting will hold in Cafeteria at 10:15 – 11:00 for important announcement regarding school policies and planned activities for the coming school year. This will also be a great opportunity to communicate concerns in children’s education. Your input is important to us.
Teacher & Parents Meeting is on September 17, please come to meet teacher and to learn the syllabus, to exchange expectations, curriculum and important class announcement, and also introduce yourself. Below is the schedule for each class.
2nd period (9:40 – 10:20) : 5th ~ 10th grade
3rd period (10:30 – 11:10): 2nd grade, 3rd grade and 4th grade
**Here the article breaks off for quantum chemistry results**
-- begin --
[1]
Computed, not measured: a 10-piece molecular cluster, C18H56N6O10 overall, with wB97M-V/def2-TZVPD.

As for the total charge: 0. The value obtained for the HOMO-LUMO gap is 8.283 eV. The energy relative to the best compared isomer or geometry (same formula, charge and spin) is 1217.8 kJ/mol. As for the LUMO energy: -0.2 eV.

Element x y z (Å)
N -3.74 2.17 0.16
C -2.79 2.43 0.99
N -1.52 2.44 0.55
O -3.18 2.59 2.32
H -4.74 2.17 0.58
H -3.60 1.57 -0.74
H -0.93 2.73 1.32
H -1.14 2.48 -0.49
N -1.06 4.12 3.77
C 0.12 3.80 3.30
N 0.20 2.69 2.64
O 1.17 4.72 3.57
H -1.04 4.79 4.51
H -1.87 3.69 3.33
H 1.14 2.50 2.20
H -0.52 1.95 2.69
N -2.69 3.64 -1.93
C -1.47 3.44 -2.41
N -0.98 2.30 -2.07
O -0.93 4.45 -3.22
H -3.10 4.59 -2.03
H -2.96 3.19 -1.00
H -0.04 2.15 -2.45
H -1.68 1.54 -1.99
C -3.55 -4.76 -0.43
C -2.46 -3.70 -0.59
C -1.06 -4.11 -1.10
O -2.89 -2.78 -1.35
H -3.12 -5.54 0.20
H -3.95 -5.32 -1.32
H -4.46 -4.37 0.11
H -2.49 -3.29 0.45
H -0.66 -4.70 -0.26
H -0.47 -3.21 -1.23
H -1.03 -4.66 -2.02
H -2.34 -2.04 -1.18
C 3.45 1.14 -2.00
C 2.07 0.66 -2.50
C 1.27 0.24 -1.32
O 1.45 1.54 -3.08
H 3.96 0.37 -1.46
H 3.27 1.88 -1.27
H 4.23 1.50 -2.64
H 2.18 -0.16 -3.18
H 1.26 0.97 -0.57
H 1.76 -0.66 -0.91
H 0.26 -0.18 -1.52
H 1.00 1.06 -3.83
C 4.64 -2.25 -0.07
C 4.24 -3.70 -0.38
C 2.84 -3.81 0.07
O 4.22 -4.05 -1.55
H 5.63 -2.16 -0.39
H 4.76 -2.15 1.03
H 4.11 -1.48 -0.52
H 4.94 -4.31 0.22
H 2.11 -3.64 -0.73
H 2.66 -3.08 0.91
H 2.55 -4.79 0.35
H 5.15 -4.07 -1.84
C 3.72 2.21 3.33
C 3.48 1.88 1.87
C 3.23 0.37 1.71
O 2.50 2.29 1.27
H 3.34 3.19 3.56
H 4.86 2.12 3.54
H 3.14 1.59 4.03
H 4.36 2.13 1.30
H 3.83 -0.25 2.23
H 3.52 0.17 0.67
H 2.19 0.10 1.98
H 2.84 2.84 0.61
C -4.50 -0.97 1.24
O -5.89 -1.07 1.19
H -4.13 -1.99 1.42
H -4.25 -0.22 1.98
H -4.01 -0.65 0.33
H -6.12 -1.01 0.24
C -2.44 -0.28 -2.98
O -3.26 0.15 -2.01
H -2.80 -1.15 -3.39
H -1.36 -0.42 -2.71
H -2.61 0.44 -3.81
H -4.07 0.01 -2.52
C -0.36 -0.88 1.39
O -1.33 -0.87 0.41
H -0.73 -0.48 2.33
H 0.27 -0.05 1.02
H 0.18 -1.80 1.61
H -1.76 -0.02 0.44

Atom charges from the Mulliken analysis, given in e for atoms 1 to 4:
1. N -0.2109
2. C 0.5504
3. N 0.1209
4. O -0.8785

=====

[2]
Computed, not measured: a 10-piece molecular cluster, C18H56N8O10 overall, with wB97M-V/def2-TZVPD.

As for the total charge: 0. The value obtained for the HOMO-LUMO gap is 8.446 eV. The energy relative to the best compared isomer or geometry (same formula, charge and spin) is 1013.3 kJ/mol. As for the LUMO energy: -0.2 eV.

Element x y z (Å)
N 2.98 -2.51 -2.07
C 3.31 -2.71 -3.36
N 2.38 -2.30 -4.11
O 4.51 -3.25 -3.89
H 3.60 -3.00 -1.37
H 2.06 -2.26 -1.71
H 2.56 -2.60 -5.08
H 1.58 -1.79 -3.87
N 2.37 0.42 2.45
C 3.10 1.28 3.16
N 3.76 0.61 4.05
O 3.11 2.69 3.05
H 1.65 0.77 1.74
H 2.13 -0.60 2.69
H 4.55 1.18 4.44
H 3.91 -0.41 4.24
N -1.85 0.20 4.82
C -0.91 -0.11 4.00
N 0.21 0.42 4.38
O -1.03 -0.92 2.86
H -2.73 -0.31 4.73
H -1.75 0.68 5.74
H 1.03 0.31 3.75
H 0.33 0.99 5.23
N -3.57 -0.68 1.92
C -4.68 -1.27 2.00
N -4.60 -2.21 2.85
-- stop --
4th period (11:20 – 12:00): pre, K and 1st grade
Location: at your student’s classroom
Our school is a volunteer-based organization. While all volunteers and teachers thrive to create a safe and fun learning environment to serve our students and families, parents’ support is also a key to make another great year for our students. We sincerely appreciate your support over the years and wish to have you with us for the many following years. Please mark your calendar for these two important meetings.
Look forward to seeing you.